After 8 months of my spare time my Sunbird is back on the road as my daily driver. My fiero was purchased last fall as a stand-in because I knew how much I would miss my car. It is a 40K one owner that is great fun to drive but my Sunbird is my favorite. Back driving the last 2 weeks and it is amazing how people react to it now, it never got a look before. Thanks to those who helped with parts along the way. Still a few details to be done. But after being stripped to the metal and straightened, new paint, top, carpet, an added louvered hood it looks great.





Great job! Looks really nice...
Just nice and simple awesome my friend.I being a clean fanatic and very exact in my ways can totally appreciate both your rides.I would ramble more but the truck driving day is wearing on me.
BEAUTIFUL photos!! These 2 machines compliment each other in an AWESOME way!!
Love the color of your Sunbird too! That is one beautiful Convertible!! You have done one Helluva job !!!
I can relate to your experiences . Many , many years ago I was very lucky to have owned at the same time a Toyota MR2 AND Porsche 944 !! The Toyota was a beautiful machine but the driving experience just wasn't quite there - kind if a vanilla experience if you know what I mean? The 944 ran on rail road tracks and was great fun to drive but really didn't fit the good ole country boy that I am deep down inside. As I grow older I find myself really enjoying these J-Bodies as much as I enjoy the tinker time on them.
But forget about all that - I'd keep these 2 together JUST like you have them - it a very special and rare combination!! Thanks for sharing your photos Philip!!
You ought to get yourself a little "Pontiac Parking Only" Sign made and stick it up in your driveway!!
just beautiful cars, outstanding example you have there. i would be proud to have them both. i love the unique color of the sunbird and to find all those parts that are exclusive to that car is a real acomplishment. those fieros always intrested me and you can find them in pretty good shape for reasonable prices, and there seems to be a lot of them around with a pretty good aftermarket and online resources. i like the look of the earlier models best. any advice as to what i should look for and what kind of issues they have if i would buy one?
John, you are right about the Fieros. They are not hard to find like J body cars. Low mileage examples even seem not hard to find.3-5k will buy a nice one. Like Js the fuel pumps go bad, the rear calipers are problematic if it has been sitting and watch for rust in the structure rails on each side of the engine. The 85 and up had the V6 available. I am quite happy with mine being an 84 and matching my Sunbird. The little 4cyl actually is great with the performance 4.10 gear for my running around in my business. Parts are widely available, unlike Jbody cars. But spend the time and look, don't buy the first one you see. There are lots of real nice one that can be bought. The Indy Pace car version of 84 is a real eye-catcher. I love the black car. The lady who bought it new cried when I towed it away. It had been sitting in a barn and then garage for 11 years and the fuel tank got rusty inside and fuel pump was inop. The car had 35k on it when I bought it a year ago and I have driven it daily. I converted the A/C to 134 and everything works great! But I was so glad to get my Sunbird back. It is much easier to get in and out of!
i have seen a couple of that indy version for sale around here, it is great looking with a fantastic interior. i was just too busy with my other cars to pull the trigger. now that the hawk is done i am going to refresh my wifes rs convertable but i think i will wait awhile becuase it is nice having the garage back and with winter comming i have some snow removal equipent and other things to take care of first the fiero is definetly on my list though along with a few others i would like
85 mustang gt convertable
chevy corvair
74 nova car right after highschool
late 80s dodge daytona turbo
one of those early to mid 60s pick-ups with the van front-end
60 -64impala also had one in highschool
almost any rambler.. learned to drive in one
i know i have a weird list but i like the odd and orphan cars
Man - that Sunbird is a sweet color combo. I wanted to ask you about your washer bottle. Did you lower it? Mine would not fit with the brace so I relocated it behind the battery like they did in 85. Looks like you have a cruise servo there now so that may not be an option.
Sweet hood pad by the way!
Very nice pixs of the under hood action.For some reason that strut bar seems familiar too me.Long day and just wiped out.
Love the color combo on the Sunbird. Where did you get the top and did you replace it yourself?
There are a couple of pieces from Ron under the hood. I still have to modify my strut brace and add 2 tab brackets I made to drop my washer bottle slightly and clear the brace. The color is the original Briar Brown but is a base-clear application instead of the single-stage metallic that was the original lacquer finish. It is a stunning copper in the sun and darker in the shade. The top is a custom made Dark Brown Stayfast fabric instead of the pvc original. And I did put it on. All the work was done by me in many hours and weekends. I am glad to be at the finish line. Just a few tweaks to go.
It is very humbling to be in the company of so many wonderful restorers and their high quality results!! So amazing!!
Reminds me of someone riding a Suzuki in a pack of Harleys.....Hahaa!!
Also - so inspiring!!

• Someone pasted calculated molecules at this point:
+++
# 1
{
  "formula": "C5H4Br4",
  "method": "ωB97M-V/def2-TZVPD",
  "total_charge": 0,
  "multiplicity": 1,
  "gap_ev": 9.678,
  "de_lowest_kj_mol": 0.0,
  "e_tot_ev": -285418.453,
  "species": ["Br", "Br", "Br", "Br", "C", "C", "C", "C", "C", "H", "H", "H", "H"],
  "positions_angstrom": [[0.937, -2.275, -0.328], [1.816, -0.581, 2.112], [2.362, 0.247, -1.908], [1.101, 2.239, 0.425], [-0.457, 0.600, -1.191], [0.854, 0.554, -0.497], [0.677, -0.572, 0.541], [-1.370, 0.013, -0.437], [-0.829, -0.360, 0.875], [-1.022, 0.474, 1.574], [-1.154, -1.166, 1.437], [-2.457, -0.201, -0.426], [-0.459, 1.028, -2.177]],
  "forces_ev_per_a": [[-0.3, -0.4, 0.0], [-0.1, 0.2, -0.2], [-1.2, 0.6, 1.4], [0.3, 0.3, -0.2], [0.0, -0.3, -0.6], [1.6, -0.2, -0.7], [-0.1, 0.5, 0.4], [-2.1, -0.6, 0.6], [2.2, 1.1, 0.5], [0.7, 0.1, -0.2], [-1.1, -2.0, 0.4], [0.7, 0.7, -1.3], [-0.5, 0.1, -0.1]],
  "lowdin_charge": [0.7029, 0.6668, 0.5562, 0.7235, -0.2271, -1.1812, -1.2860, -0.1093, -0.2940, 0.1218, 0.0840, 0.1376, 0.1048]
}



# 2
{
  "formula": "C5H4Cl2N2O3",
  "method": "ωB97M-V/def2-TZVPD",
  "total_charge": 0,
  "multiplicity": 1,
  "gap_ev": 8.868,
  "de_lowest_kj_mol": 343.3,
  "smiles": "O=C(Cl)N/C(Cl)=C\\C=C=[N+]([O-])O",
  "e_tot_ev": -39411.615,
  "species": ["Cl", "Cl", "O", "O", "O", "N", "N", "C", "C", "C", "C", "C", "H", "H", "H", "H"],
  "positions_angstrom": [[0.796, 3.020, 1.511], [3.060, 0.729, 0.043], [-0.462, -0.708, -2.271], [1.196, -2.196, -1.766], [1.956, 1.242, -2.309], [0.597, 1.443, -0.476], [0.355, -1.458, -1.321], [1.779, 1.130, -1.154], [0.498, 1.423, 0.933], [0.127, 0.351, 1.633], [-0.037, -1.379, -0.142], [-0.300, -0.899, 1.038], [-0.015, -0.556, -3.096], [-0.935, -1.545, 1.644], [0.167, 0.366, 2.785], [0.111, 2.256, -0.971]],
  "forces_ev_per_a": [[0.0, 0.0, 1.0], [0.1, -0.3, -0.7], [-1.5, -0.2, 1.9], [1.8, -0.9, -1.2], [0.2, -0.2, -0.8], [-0.4, 0.9, -1.4], [-0.9, 0.5, -1.7], [-0.4, 0.6, 2.1], [-0.3, 0.3, -1.0], [0.7, 0.5, 2.2], [-0.7, 1.0, 0.8], [-0.4, -0.9, 0.2], [1.4, -0.4, -0.5], [0.0, 0.3, 0.1], [-0.2, 0.3, -2.1], [0.7, -1.7, 1.0]],
  "lowdin_charge": [0.7096, 0.7000, 0.0523, 0.0343, 0.0828, -0.0289, -0.3104, -0.8501, -0.7890, -0.1069, 0.0236, -0.0571, 0.0940, 0.1148, 0.1486, 0.1823]
}



# 3
{
  "formula": "C5H4Cl4",
  "method": "ωB97M-V/def2-TZVPD",
  "total_charge": 0,
  "multiplicity": 1,
  "gap_ev": [7.830, 7.714],
  "de_lowest_kj_mol": 264.2,
  "e_tot_ev": -55334.911,
  "species": ["Cl", "Cl", "Cl", "Cl", "C", "C", "C", "C", "C", "H", "H", "H", "H"],
  "positions_angstrom": [[-4.066, 0.993, -1.606], [-3.011, -1.965, -1.245], [-2.609, -1.452, 1.561], [-4.328, 1.137, 1.435], [0.211, -0.451, -0.063], [-3.157, -0.946, 0.109], [-0.734, 0.794, -0.030], [-3.364, 0.550, -0.041], [-1.998, 0.868, 0.024], [-0.185, 1.755, 0.118], [0.152, -1.102, -0.961], [1.277, -0.329, 0.216], [-0.250, -1.011, 0.785]],
+++

I have to say that everyone who posts here and their ongoing enthusiasm is a great encouragement in the middle of a project. I have enjoyed reading here for years and there are few left who love these little cars. I have owned Pontiacs from SD455 Trans Am, 69 Firebird 400, 66-70 GTO including a 69 RA IV Judge (a 7yr resto) but years later this car was one I missed and I got the convertible I wanted back then. It has been a journey and finding parts has been like looking for GTO parts years ago before all the repro parts came out. And I think I have found that it is the journey that makes it so enjoyable. This is a great little group of guys.
I love that it is brown. Looking good man.
PRND321 Till I DIE
Old Motor: 160whp & 152ft/lbs, 1/4 Mile 15.4 @88.2
M45 + LD9 + 4T40-E, GO GO GO
Phil, i cant tell from your recent pics but i remember a dealers tag from west bend wi on your car from some past shots. do you know if your car was originally purchased from there? if so, that dealer is still in business and uses the same tag. it would be kind of cool to have on there. i bet they would send you one if you ask. it was bob fish gm west bend wi